Cutting carbs can lower cholesterol

Trimming carbohydrate intake results in healthy improvements in blood fat levels, even if a person doesn’t lose an ounce, a new study shows.

“These dietary fads tend to come and go,” Dr. Ronald M. Krauss of Children’s Hospital Oakland Research Institute in Oakland, California, told Reuters Health. “In the case of low carbohydrates, people shouldn’t be so quick to throw that away and move on to the next diet. Limiting carbohydrates can be beneficial even if people aren’t successful at losing weight.”

Scientists now believe that carbohydrates, especially simple sugars, can cause unhealthy changes in blood fats by causing fat to collect in the liver - just as it does on one’s thighs or belly. These fats eventually find their way into the bloodstream, Krauss explained.

Cutting down on these fat deposits by cutting carbs reduces fat levels in the blood, and may also boost the body’s ability to break down fats that do reach the bloodstream.

To investigate whether moderate reduction in carbohydrate intake might affect cholesterol levels, Krauss and his team had a group of 178 overweight men eat a standard diet including 54 percent energy intake from carbohydrates for one week.

The men were then randomly assigned to continue the same diet, or switch to a 39 percent carbohydrate diet, or a 26 percent carb diet for three weeks.

For an additional five weeks, men ate a similar diet but their calorie intakes were reduced to produce weight loss. In the final four weeks of the study, their energy intake was adjusted for weight stabilization.

Compared to the men who stayed on the standard diet, those with the lowest carb intake showed reductions in harmful triglycerides and “bad” LDL cholesterol levels. They also enjoyed an increase in the ratio of “good” HDL cholesterol to total cholesterol levels, and other improvements in their blood fat profile.

The entry is interrupted by data records:
........
Record 1
Entry from Alexandria: a relaxed PmSmMg crystal (PBE-GGA).

Lattice parameters (Å, degrees): 5.2395 13.4332 5.2397 90.00 90.00 90.00
Closest atoms and distances in Å follow each position.
Space group Cmcm (No. 63)
Asymmetric unit:
Pm 0.0000 0.0912 0.2500 [4 per cell]  4 Mg 3.38, 6 Sm 3.59-3.70, 2 Pm 3.59
Sm 0.0000 0.4089 0.2500 [4 per cell]  4 Mg 3.38, 2 Sm 3.59, 6 Pm 3.59-3.70
Mg 0.0000 0.2498 0.7500 [4 per cell]  4 Pm 3.38, 4 Sm 3.38, 4 Mg 3.70

Calculated values
* DFT formation energy: -0.05 eV per atom

Record 2
Entry from Alexandria: a relaxed Mg2ZnCu crystal (PBE-GGA).

Lattice parameters (Å, degrees): 3.0797 4.2692 5.4529 90.00 106.30 90.00
Closest atoms and distances in Å follow each position.
Space group Pm (No. 6)
Asymmetric unit:
Mg 0.0000 0.0000 0.0000 [1 per cell]  4 Zn 2.83, 3 Cu 2.83-2.85, 2 Mg 3.08
Mg 0.3242 0.5000 0.6487 [1 per cell]  4 Cu 2.81-2.82, 3 Zn 2.82-2.87, 2 Mg 3.08
Zn 0.5991 0.5000 0.1972 [1 per cell]  2 Cu 2.54, 6 Mg 2.82-2.83
Cu 0.7284 0.0000 0.4591 [1 per cell]  2 Zn 2.54, 5 Mg 2.81-2.83

Calculated values
* DFT formation energy: -0.09 eV per atom

Record 3
Entry from Alexandria: a relaxed LaCoSi crystal (PBE-GGA).

Lattice parameters (Å, degrees): 4.0454 4.0454 7.3290 90.00 90.00 90.00
Closest atoms and distances in Å follow each position.
Space group P4/nmm (No. 129, origin choice 2)
Asymmetric unit:
La 0.2500 0.2500 0.1901 [2 per cell]  4 Co 3.04, 4 Si 3.07
Co 0.2500 0.7500 0.5000 [2 per cell]  4 Si 2.33
Si 0.2500 0.2500 0.6589 [2 per cell]  4 Co 2.33

Calculated values
* formation energy (no corrections): -0.6909 eV per atom

~~~~~

CeBi2AuO (PBE-GGA, optimized geometry); crystal system = tetragonal; formation energy (no corrections) = -1.245 eV/atom; raw total energy = -5.631 eV per atom
1.0
4.080 0.000 0.000
0.000 4.080 0.000
0.000 0.000 15.389
O Bi Ce Au
2 4 2 2
Cartesian
2.040 2.040 7.695
0.000 0.000 7.695
0.000 2.040 1.138
2.040 0.000 14.252
0.000 2.040 10.857
2.040 0.000 4.532
0.000 2.040 6.519
2.040 0.000 8.871
0.000 2.040 13.633
2.040 0.000 1.756
........

These healthy changes were seen whether or not the men were eating less saturated fat, and whether or not they lost weight.

The 54 percent carbohydrate diet resembles the normal diet many of us consume by following standard dietary recommendations, Krauss said. People can cut their carbohydrate intake to a level similar to that used in the study by “avoiding the kinds of food we don’t need in our diet anyway-sugary foods, white rice, pasta, white bread,” he added.

“This type of diet really needs to be done in consultation with a dietitian to get the balance that we used,” Krauss emphasized. But such a diet, he noted, is much less restrictive than, for example, the Atkins’ approach, and would relatively simple to follow.

SOURCE: American Journal of Clinical Nutrition, May 2006.

Provided by ArmMed Media
Revision date: July 9, 2011
Last revised: by Dave R. Roger, M.D.